SICK LEAVE OF ABSENCE. 22.01 Employees who are permitted to go home by the Company due to non- occupational illness or injury will not be paid for the remainder of their shift.
22.02 Any employee's reinstatement after sick leave exceeding five (5) or more working days is conditional on the employee supplying a certificate from a physician that the employee is recovered from the sickness, which caused their absence.
22.03 When such an employee returns to work, such employee shall be reinstated to their former classification, if such vacancy exists, and if no such vacancy exists, the employee shall be laid off, subject to Article 12 of the Agreement.
22.04 The Company, may, at any time, require an employee to undergo a medical examination or examinations by a physician or physicians of its choice, and the Company shall bear the expenses incurred in connection therewith. Such expenses shall be limited to medical fees and traveling expenses.
22.05 Employees required by the Company to be medically examined by a Company appointed physician will bear no expense, including transportation cost, if necessary, for such medical examination and further if they are at work, will be compensated at their regular rate of pay for such time off from work for such medical examination.
22.06 An employee who is no longer able to perform the work in the employees’ classification, but is capable of performing other duties, or any employee who has incurred a non-compensable or compensable permanent or partial disability may, by mutual agreement between the Company and the Union be assigned to or retained at a job which the employee is capable of performing at the prevailing rate of pay.
SICK LEAVE OF ABSENCE. 25.01 Employees, who are permitted to go home due to non- occupational illness or injury, will not be paid for the remainder of their shift.
25.02 Any employee’s reinstatement after sick leave is conditional on his supplying a certificate from a physician that he is fully recovered from the sickness, which caused his absence.
25.03 When such an employee returns to work, he shall be reinstated to his former classification, under the seniority provisions of the Collective Agreement. In the event of a dispute between two physicians concerning the validity of a non-occupational illness or injury, the Company and Union will select a third party physician, and his opinion will be binding on the parties.
_Attached: data records_
DFT (PBE-GGA) results for K2Al2In after structural relaxation.

abc: 7.2468 7.2468 5.9695
angles: 90.00 90.00 90.00
Fractional positions:
1 K 0.1824 0.3176 0.0000
2 K 0.3176 0.8176 0.0000
3 K 0.6824 0.1824 0.0000
4 K 0.8176 0.6824 0.0000
5 Al 0.1270 0.6270 0.5000
6 Al 0.3730 0.1270 0.5000
7 Al 0.6270 0.8730 0.5000
8 Al 0.8730 0.3730 0.5000
9 In 0.0000 0.0000 0.5000
10 In 0.5000 0.5000 0.5000

Summary:
Energy of formation from the pure elements in eV per atom: 0.1512
Symmetry: No. 127
DFT total energy in eV/atom: -2.332
Calculated density in Mg/m³: 2.616



DFT (PBE-GGA) results for RbPaHgO5 after structural relaxation.

abc: 6.4724 6.4724 8.2704
angles: 100.13 100.13 113.98
Fractional positions:
1 Rb 0.1757 0.8243 0.7500
2 Rb 0.8243 0.1757 0.2500
3 Pa 0.5000 0.5000 0.0000
4 Pa 0.5000 0.5000 0.5000
5 Hg 0.1762 0.8238 0.2500
6 Hg 0.8238 0.1762 0.7500
7 O 0.1507 0.2356 0.9249
8 O 0.2356 0.1507 0.4249
9 O 0.2597 0.6317 0.4219
10 O 0.3683 0.7403 0.0781
11 O 0.4402 0.5598 0.7500
12 O 0.5598 0.4402 0.2500
13 O 0.6317 0.2597 0.9219
14 O 0.7403 0.3683 0.5781
15 O 0.7644 0.8493 0.5751
16 O 0.8493 0.7644 0.0751

Summary:
Formation energy (no corrections) in eV/atom: -1.74
Symmetry: No. 15
DFT total energy in eV/atom: -6.181
Calculated density in Mg/m³: 6.619



DFT (PBE-GGA) results for V2CoPd9 after structural relaxation.

abc: 3.8812 3.8812 11.7270
angles: 90.00 90.00 90.00
Fractional positions:
1 V 0.0000 0.0000 0.1719
2 V 0.0000 0.0000 0.8281
3 Co 0.0000 0.0000 0.5000
4 Pd 0.0000 0.5000 0.0000
5 Pd 0.0000 0.5000 0.3312
6 Pd 0.0000 0.5000 0.6688
7 Pd 0.5000 0.0000 0.0000
8 Pd 0.5000 0.0000 0.3312
9 Pd 0.5000 0.0000 0.6688
10 Pd 0.5000 0.5000 0.1652
11 Pd 0.5000 0.5000 0.5000
12 Pd 0.5000 0.5000 0.8348

Summary:
Energy of formation from the pure elements in eV per atom: -0.1381
Symmetry: No. 123
DFT total energy in eV/atom: -6.145
Calculated density in Mg/m³: 10.515

~~~~~

[1]
An optimized crystal structure of V2CoB. Source: Alexandria via LeMat-Bulk, functional GGA-PBE.

M_tot (μB/cell): 0.00
Final energy (eV per cell): -65.174

Cell and atoms, written as CIF:
```
data_V2CoB
_chemical_formula_sum 'V4 Co2 B2'
_space_group_name_H-M_alt 'P 1'
_space_group_IT_number 1
_space_group_name_Hall 'P 1'
_cell_length_a 5.126
_cell_length_b 5.076
_cell_length_c 4.685
_cell_angle_alpha 63.21
_cell_angle_beta 62.12
_cell_angle_gamma 54.67
loop_
_atom_site_label
_atom_site_fract_x
_atom_site_fract_y
_atom_site_fract_z
V1 0.204 0.796 0.204
V2 0.250 0.250 0.250
V3 0.750 0.750 0.750
V4 0.796 0.204 0.796
Co1 0.300 0.700 0.700
Co2 0.700 0.300 0.300
B1 0.288 0.288 0.712
B2 0.712 0.712 0.288
```



[2]
An optimized crystal structure of VCo4B4. Source: Alexandria via LeMat-Bulk, functional GGA-PBE.

M_tot (μB/cell): 2.56
Final energy (eV per cell): -132.870

Cell and atoms, written as CIF:
```
data_VCo4B4
_chemical_formula_sum 'V2 Co8 B8'
_space_group_name_H-M_alt 'P 1'
_space_group_IT_number 1
_space_group_name_Hall 'P 1'
_cell_length_a 4.879
_cell_length_b 4.879
SICK LEAVE OF ABSENCE. Satisfactory medical evidence that an employee is unable to perform his or her job must accompany an application for a sick leave of absence. Such leave will be granted for a period of six (6) months or less at a time. An initial sick leave of absence may be extended for a period of time equal to the employee’s length of continuous service up to a maximum of one (1) year for the total leave of absence including extensions.
SICK LEAVE OF ABSENCE. The provisions of this sick leave of absence section do not affect sick leave benefits specified elsewhere in this Agreement.
SICK LEAVE OF ABSENCE. 25.01 Employees, who are permitted to go home due to non- occupational illness or injury, will not be paid for the remainder of their shift.
25.02 Any employee’s reinstatement after sick leave is conditional on the employee supplying a certificate from a physician identifying the employee is capable of returning to work with no restrictions or with restrictions. Doctors notes provided for three (3) consecutive days absent or more will be paid for by the Company. Where the Company requests Doctors notes for absences of less than three (3) days, they will be paid for by the Company.
25.03 When such an employee returns to work, they shall be reinstated to their former classification, under the seniority provisions of the Collective Agreement. In the event of a dispute between two physicians concerning the validity of a non-occupational illness or injury, the Company and Union will select a third party physician, and their opinion will be binding on the parties.
SICK LEAVE OF ABSENCE a. Full-time certificated Bargaining Unit members assigned for twelve (12) months shall receive full pay for the first fourteen (14) working days absence because of illness or injury during the school year, July 1 through June 30. Sick leave day shall include one-sixth (1/6th) additional assignments.
b. Certificated Bargaining Unit members assigned for less than twelve (12) months shall receive full pay on the basis of one and two tenths (1.2) day per month for the number of months assigned; that is ten
SICK LEAVE OF ABSENCE. After acquiring seniority, an employee will be granted a leave of absence for illness for up to one hundred eighty (180) days, concurrent with the employee's sick leave allowance days. Two (2) renewals of ninety (90) days each may be granted upon the advice of the doctor. An employee during the first ninety (90) days of sick leave without pay shall continue to accumulate seniority, vacation and sick leave days allowance eligibility.
SICK LEAVE OF ABSENCE. 19.01 An employee may be required to produce a certificate from a medical practitioner for any illness, certifying that he/she was unable to carry out his/her duties due to illness. Such medical certificate shall not be unreasonably requested. The union reserves the right to grieve unreasonable requests.
19.02 The Agency agrees to assess an employee’s reinstatement to regular duties on an individual basis. The Union has the right to grieve any decision it deems improper.
19.03 An employee who is no longer able to perform the work in her classification, but is capable of performing other duties, or any employee who has incurred a non- compensable or compensable permanent or partial disability may be assigned to or retained at an operation which she is capable of performing at the prevailing rate of pay in accordance with the Ontario Human Rights Act duty to accommodate.
19.04 A sick leave of 18 days per year (maximum) shall be granted to all employees working at least two (2) days per week on the following basis: On January 1 of each year employees will be given a sick leave entitlement for that year as follows: Normal work week: two (2) days per week 8 days Normal work week: three (3) days per week 11 days Normal work week: four (4) days per week 15 days Normal work week: five (5) days per week 18 days An additional .01 days sick time will be allotted for every hour worked or deemed to have been worked in excess of normal work week hours as described above. Sick time is not calculated on overtime hours. For new employees the sick leave entitlement for their starting year will be prorated at 1.5 days per month (to a maximum of 18) for each full month of employment during the first calendar year.
19.05 Any unused sick leave shall accumulate from year to year to a maximum of: Seventy five (75) days: for an employee working five (5) days per week Sixty (60) days: for an employee working four (4) days per week Forty Five (45) days: for an employee working three (3) days per week Thirty (30) days: for an employee working two (2) days per week Sick leave accumulation shall be for the sole purpose of protecting a member with respect to legitimate illness during her employment with the Agency and will not be funded. Sick days may be used for personal or family illness. Comp time and vacation time may not be substituted for sick time unless sick leave is exhausted.
19.06 The Agency shall keep record of sick leave accumulation, the number of sick days used and the cu...
SICK LEAVE OF ABSENCE. 21.01 Employees who are permitted to go home due to non-occupational illness or injury will not be paid for the remainder of their shift.
21.02 Employees who are absent must call in each day prior to their regularly scheduled shift until they provide satisfactory medical evidence of their continuing absence.
21.03 Any employee’s reinstatement after sick leave is conditional on his supplying a certificate from a physician that he is able to return to work.
21.04 When such an employee returns to work, he shall be reinstated to his former classification, and shift (if possible) under the seniority provisions of the Collective Agreement. In the event of a dispute between two physicians concerning the validity of a non-occupational illness or injury, the Company and Union will select a third party physician, and his opinion will be binding on the parties. The third party physician will rule if the employee can return to work, return to work with restrictions or cannot return to work.
21.05 The Company will not pay for physicians fees for completion of the initial E.I. or Insurance carrier medical forms. Any additional medical evidence after the first submission, being requested by the Company or the Carrier, will be paid by the Company, provided that the initial claim form has been completed as required. If the employee cannot meet the return to work date or there is no return date specified, as indicated on the disability form, any request for additional medical evidence will be paid by the employee.
SICK LEAVE OF ABSENCE. After an employee has used all his/her accumulated sick leave and PTO, he/she may be granted a leave of absence without pay not to exceed six (6) months without having his/her name removed from the payroll. After the six (6) month period has expired, the Employer may review the case and determine whether any further leave shall be granted. Said leave not to exceed two (2) years, and subject to a doctor's report for each six (6) months.